Quintessence of British air-racing's Golden Age

If the heyday of British air-racing can be evoked by a single aeroplane, it is surely the Percival Mew Gull. It has a look that is quintessentially ‘of its time’ – with an economy of line simultaneously suggesting competitive zeal and genteel elegance. It is, to put it plainly, a combination of rakishness and charm no modern design could ever hope to match.
<<<
Record 1
{
  "formula": "C3H8O3",
  "method": "wB97M-V/def2-TZVPD",
  "species": ["O", "O", "O", "C", "C", "C", "H", "H", "H", "H", "H", "H", "H", "H"],
  "coordinates": [[0.786, 0.224, 1.563], [0.708, 1.466, -0.277], [-2.138, 1.085, 2.118], [0.869, 0.307, 0.365], [1.003, -0.808, -0.611], [-0.161, -0.941, -1.627], [0.130, -0.995, -2.663], [0.817, 2.213, 0.324], [1.138, -1.733, -0.048], [-2.209, 0.825, 3.058], [1.894, -0.686, -1.238], [-0.858, -0.111, -1.478], [-1.190, 0.977, 1.937], [-0.789, -1.822, -1.423]],
  "forces_ev_per_a": [[0.3, -0.1, 0.2], [0.5, 0.7, -0.6], [0.3, -0.2, 0.7], [-0.8, 0.1, -0.1], [0.4, -1.3, -0.9], [-1.3, 0.0, 1.2], [0.3, 0.2, -0.2], [-0.3, -0.1, 0.3], [0.0, 0.1, 0.0], [0.0, 0.2, -0.8], [0.1, 0.3, 0.5], [0.2, 0.0, -0.4], [-0.2, 0.0, 0.1], [0.4, 0.1, 0.0]],
  "relative_energy_ev": 0.255,
  "smiles": "CCC(=O)O.O",
  "lumo_ev": 0.67,
  "orbital_gap_ha": 0.425
}

Record 2
{
  "formula": "C3H6NO5S2",
  "method": "wB97M-V/def2-TZVPD",
  "species": ["S", "S", "O", "O", "O", "O", "O", "N", "C", "C", "C", "H", "H", "H", "H", "H", "H"],
  "coordinates": [[-3.294, -0.074, 0.443], [-0.551, -0.431, -0.165], [-0.478, -0.437, -1.610], [-3.903, 1.254, 0.017], [-1.506, 1.995, -0.082], [-3.257, -1.086, -0.628], [-0.575, -1.719, 0.498], [-1.517, 0.612, 0.629], [1.036, 0.402, 0.362], [3.250, -0.922, 0.144], [2.115, -0.341, -0.260], [4.027, -1.619, -0.371], [-2.503, 2.030, -0.121], [1.063, 0.489, 1.396], [1.866, -0.296, -1.359], [0.802, 1.370, -0.148], [3.425, -1.226, 1.254]],
  "forces_ev_per_a": [[-1.9, 0.3, -0.3], [3.6, -0.9, -0.2], [-0.7, 0.5, 0.6], [0.6, -1.3, 0.4], [0.4, -2.7, 1.3], [0.0, 1.0, 0.5], [-0.7, 0.8, 0.1], [-1.0, 2.2, -1.3], [-1.6, 0.2, -1.7], [0.9, -2.8, 2.4], [1.3, 0.0, -3.1], [-1.8, 1.8, -0.2], [-0.2, 0.3, -0.4], [-0.2, 0.2, 1.9], [0.9, -0.4, 0.9], [0.8, -0.5, 0.6], [-0.5, 1.4, -1.5]],
  "relative_energy_ev": 4.545,
  "lumo_ev": 3.45,
  "orbital_gap_ha": 0.321,
  "total_charge": -1
}

~~~~~

No. 1
DFT (ωB97M-V/def2-TZVPD) results for a molecular structure, C21H39NP2Pd at a distorted geometry.

The calculation puts the HOMO-LUMO gap (spin up / spin down) at 3.12 / 6.48 eV. As for the strongest force on any atom: 5.0 eV/A. The value obtained for the energy above the lowest of the compared OMol25 structures with the same formula, charge and spin is 248.0 kJ/mol. The value obtained for the HOMO energy (spin up / spin down) is -2.6 / -6.2 eV. The spin multiplicity is 3. As for the electronic energy: -1688.555464 hartree.

Each line ends with the Löwdin spin population.
Positions of all 64 atoms, in Å:
P1 0.900 -1.929 -1.301  0.22
P2 0.044 2.302 -1.062  0.10
C1 0.945 -0.361 -2.306  0.13
C2 1.160 1.136 -1.947  0.09
H1 0.000 -0.423 -2.892  0.05
H2 1.767 -0.613 -3.018  0.02
H3 2.186 1.270 -1.575  0.03
H4 1.156 1.624 -2.950  0.01
C3 -1.516 2.744 -1.832  0.11
H5 -2.080 3.412 -1.151  0.02
H6 -2.145 1.881 -2.098  0.06
H7 -1.336 3.329 -2.756  0.02
C4 0.915 3.900 -0.885  0.02
H8 0.689 4.545 -1.744  0.01
H9 2.000 3.760 -0.810  0.00
>>>
-- Back to the piece --
Predominantly of wooden construction and designed and built by Captain Edgar Percival, the type first flew in March 1934. It was produced specifically for racing and long-distance, high-speed touring. Slender, a single-seater, it offered no luxuries – only performance. A maximum speed of 265mph was claimed for a version powered by a six-cylinder, 205-horsepower de Havilland Gipsy Six engine. As races were won and speed-records broken, a legend was forged, and although the outbreak of war halted progress, further successes were notched-up in the years thereafter.
Of the six Mew Gulls built, one in particular stands out. Bearing the registration G-AEXF and splendid in white, it was flown by the celebrated race-ace and test pilot Alex Henshaw in numerous contests for the King’s Cup and other prestigious trophies, and on an epic record-breaking flight from England to Cape Town, South Africa and back in 1939. After covering the one-way distance of 6,377 miles only to fly straight back again, it is little wonder an exhausted Henshaw had to be physically lifted from the cockpit.
Several months later, with the Second World War entering its opening phase, the 'Golden Era' of competition flying in Britain came to an end.
The Mew Gull certainly challenged its pilots. Forward visibility was extremely limited, and they found it particularly difficult to see what was below them. Their biggest fear was flying into somebody. And having a tail-skid instead of a tail-wheel, the Mew Gull could only be operated from grass.
Today, more than 80 years young, G-AEXF is the survivor of several major crashes, innumerable hair-raising ‘moments’ and a spell of wretched neglect, but is these days safely in the hands of the Shuttleworth Trust at Old Warden airfield near Biggleswade in Bedfordshire. It flies on special occasions, much to the appreciation of visitors to the vintage air-displays that take place there each year. The sight and sound sooth all but hearts of flint.
**Attached: data records:**
┌──
This record from OMol25 describes a cluster of 18 separate species, C21H74O20 in total. The level of theory is ωB97M-V/def2-TZVPD.

Net charge   0
LUMO   -0.03 eV
Maximum force   3.67 eV/Å
Orbital gap   9.86 eV
Electronic energy   -63917.637 eV
Spin multiplicity   1
HOMO energy   -9.893 eV

Positions of all 115 atoms, in Å:
C  0.722  4.625  -0.527
O  -0.037  3.499  -1.098
H  -0.013  5.428  -0.473
H  1.035  4.328  0.474
H  1.564  4.954  -1.136
H  -0.879  3.620  -0.654
C  -2.224  -3.320  -4.552
O  -0.929  -3.915  -4.984
H  -2.942  -3.390  -5.368
H  -2.572  -3.889  -3.689
H  -2.067  -2.252  -4.400
H  -0.272  -3.315  -5.343
C  -0.153  -2.255  3.720
O  -0.051  -2.936  2.507
H  0.527  -1.420  3.887
H  -1.179  -1.886  3.696
H  -0.103  -2.982  4.530
H  0.492  -3.727  2.539
C  0.621  3.815  6.363
O  0.162  2.714  5.564
H  -0.167  4.567  6.402
H  0.786  3.573  7.413
H  1.569  4.208  5.995
H  0.295  2.987  4.653
C  -0.628  -5.619  -1.019
O  -1.068  -6.047  -2.299
H  -0.518  -6.400  -0.267
H  0.318  -5.078  -1.026
H  -1.450  -5.078  -0.550
H  -0.884  -5.421  -3.003
C  -2.456  2.057  3.200
O  -3.058  3.361  3.565
H  -2.594  1.788  2.153
H  -1.455  1.869  3.588
H  -3.124  1.341  3.679
H  -3.475  3.205  4.416
C  1.449  -0.326  -6.176
O  0.696  -0.381  -4.932
H  2.528  -0.348  -6.027
H  1.215  -1.237  -6.728
H  1.071  0.476  -6.809
H  0.503  0.470  -4.531
C  -5.552  -1.496  -4.026
O  -4.561  -0.493  -3.860
H  -5.677  -1.626  -5.101
H  -5.412  -2.447  -3.514
H  -6.501  -1.090  -3.675
H  -4.432  -0.264  -2.937
C  -3.068  1.661  -1.455
O  -3.760  0.425  -1.308
H  -2.630  1.637  -2.453
H  -3.843  2.421  -1.559
H  -2.416  1.757  -0.587
H  -4.239  0.447  -0.476
C  -3.040  -3.834  4.513
O  -3.428  -2.651  5.089
H  -3.908  -4.475  4.355
H  -2.636  -3.726  3.506
H  -2.301  -4.340  5.135
H  -2.655  -2.284  5.525
C  6.353  2.196  -0.633
O  7.572  2.826  -1.176
H  6.371  1.114  -0.501
H  6.145  2.648  0.337
H  5.496  2.349  -1.290
H  8.258  2.366  -0.688
C  2.299  2.022  -3.122
O  1.002  1.519  -2.940
H  2.292  3.080  -3.384
H  2.842  1.838  -2.195
H  2.775  1.432  -3.905
H  0.617  2.058  -2.245
C  0.030  -0.410  0.070
O  1.248  -0.129  -0.650
H  -0.682  0.370  -0.200
H  -0.362  -1.413  -0.098
H  0.175  -0.366  1.150
H  1.023  0.293  -1.483
C  3.404  -1.755  -2.839
O  2.702  -2.173  -4.043
H  4.074  -2.562  -2.545
H  3.885  -0.789  -2.992
H  2.724  -1.663  -1.992
H  1.822  -1.790  -4.014
C  1.848  2.673  2.783
O  1.103  3.721  3.262
H  1.531  1.683  3.110
H  1.837  2.683  1.693
H  2.866  2.609  3.168
H  0.300  3.855  2.753
C  -4.896  -1.552  1.837
O  -5.438  -2.171  2.944
H  -4.481  -0.604  2.178
H  -4.347  -2.165  1.121
H  -5.657  -1.133  1.179
H  -4.747  -2.216  3.609
C  -2.868  5.718  -0.900
O  -2.704  4.559  -0.161
H  -3.938  5.923  -0.868
H  -2.339  6.627  -0.615
H  -2.772  5.418  -1.944
H  -2.187  4.780  0.617
C  5.331  -2.606  0.262
C  4.186  -1.656  0.592
C  2.871  -2.133  1.334
O  3.140  -2.034  2.750
C  4.063  -1.056  2.863
O  4.248  -0.400  3.893
└──
From the moment the Mew Gull's wheels leave the ground there is magic in the air.
Visit the Shuttleworth Collection's website for opening times and details of upcoming events: www.shuttleworth.org/
- - -
(1)
# C12H24O17PtS2

C12H24O17PtS2 as an isolated structure (ωB97M-V/def2-TZVPD, the Open Molecules 2025 dataset).

Atoms and positions in Å:
Pt  1.415  0.081  -0.511
S  1.998  1.174  -3.071
O  0.679  0.837  -2.466
O  2.362  0.198  -4.083
O  2.111  2.559  -3.549
O  2.923  1.002  -1.933
S  3.167  -1.202  1.123
O  2.836  -2.532  1.644
O  4.486  -0.759  1.565
O  3.104  -1.292  -0.375
O  2.111  -0.226  1.409
C  1.878  3.656  3.942
C  1.747  2.900  2.623
O  0.930  3.729  1.790
C  0.717  3.257  0.569
O  1.078  2.195  0.168
O  0.040  4.144  -0.159
C  -0.028  3.961  -1.567
H  2.196  2.990  4.742
H  0.851  3.927  4.219
H  2.406  4.594  3.792
H  1.261  1.925  2.631
H  2.775  2.809  2.263
H  -0.762  3.207  -1.862
H  0.901  3.654  -2.054
H  -0.407  4.889  -1.995
C  -3.807  -2.947  1.397
C  -2.681  -2.049  0.869
O  -2.428  -0.992  1.798
C  -1.483  -0.134  1.380
O  -0.821  -0.182  0.400
O  -1.352  0.908  2.241
C  -2.321  1.173  3.248
H  -4.052  -3.725  0.679
H  -4.694  -2.307  1.474
H  -3.684  -3.284  2.426
H  -2.972  -1.642  -0.098
H  -1.785  -2.660  0.757
H  -3.324  0.834  2.987
H  -2.405  2.259  3.292
H  -1.979  0.749  4.190
C  -0.549  -1.349  -4.375
C  -1.508  -1.489  -3.212
O  -1.296  -2.706  -2.506
C  -0.225  -2.777  -1.727
O  0.507  -1.899  -1.402
O  -0.112  -4.040  -1.306
C  1.021  -4.276  -0.447
H  -0.557  -0.361  -4.842
H  -0.794  -2.062  -5.165
H  0.482  -1.372  -4.009
H  -2.502  -1.348  -3.644
H  -1.382  -0.696  -2.469
H  1.968  -3.887  -0.814
H  1.118  -5.360  -0.584
H  0.844  -4.055  0.601

## Properties
Total charge ... -2
⟨S²⟩ ... 2.004
Spin multiplicity ... 3
Frontier orbital gap (alpha / beta) ... 4.516 / 5.007 eV
E_LUMO (alpha / beta) ... 4.00 / 4.00 eV

***

(2)
# C16H17NO

A 2-piece molecular cluster, C16H17NO overall (ωB97M-V/def2-TZVPD, the Open Molecules 2025 dataset).

Atoms and positions in Å:
C  0.328  4.435  0.861
C  0.250  2.932  0.857
C  1.162  1.986  1.192
N  0.567  0.707  1.291
C  -0.720  0.882  0.976
C  -1.793  -0.041  0.997
C  -2.994  0.412  0.868
C  -3.320  1.774  0.446
C  -2.322  2.706  0.319
C  -1.080  2.252  0.671
H  0.020  4.765  1.989
H  -0.347  5.068  0.288
H  1.379  4.711  0.520
H  2.209  2.261  1.555
H  0.962  -0.226  1.379
H  -1.594  -1.072  1.293
H  -3.928  -0.089  1.179
H  -4.301  1.863  0.217
H  -2.458  3.790  0.170
C  3.282  -2.158  -2.241
C  1.946  -2.522  -1.501
C  1.933  -2.497  -0.076
C  0.766  -2.505  0.598
C  -0.472  -2.721  -0.143
O  -1.558  -2.866  0.596
C  -0.397  -2.579  -1.494
C  0.799  -2.593  -2.273
H  4.030  -2.048  -1.593
H  3.114  -1.171  -2.663
H  3.564  -2.726  -3.023
H  2.866  -2.322  0.299
H  0.913  -2.611  1.690
H  -2.411  -2.519  0.213
H  -1.265  -2.557  -2.031
H  0.867  -2.723  -3.429

## Properties
Frontier orbital gap ... 8.633 eV
E_LUMO ... 0.79 eV

***

(3)
# C19H18ClN3O5S

One molecule with the formula C19H18ClN3O5S (ωB97M-V/def2-TZVPD, the Open Molecules 2025 dataset).

Atoms and positions in Å:
C  -0.148  -5.515  -1.655
O  0.632  -4.618  -0.902
C  0.149  -3.363  -0.685
- - -
(The article goes on)
Images © Paul Smith